== Brief ==
Your job: filter the calculation results underneath: keep the lines with the word "The".

== Excerpt ==
Diffraction record for NiCl. The PXRD pattern is theoretical, not measured: it uses a GGA-PBE-relaxed structure and Cu Kα, 1.54184 Å.
Intensities are scaled so that the largest is 100.

Structure:
Unit cell a=8.9183 b=8.9183 c=3.6664 alpha=90.00 beta=90.00 gamma=120.00
Space group P6_3/m (No. 176)
One atom of each set of equivalent atoms:
Ni (0.0184, 0.5995, 0.2500)
Cl (0.1319, 0.4000, 0.2500)

Largest 12 diffraction maxima, by angle, 10° ≤ 2θ ≤ 90°:
Position (°2θ)  I_rel
11.46  80
19.91  96
23.03  44
26.92  23
31.59  28
33.71  20
39.46  36
42.19  22
49.27  100
49.74  19
54.09  11
59.88  10

---

Diffraction record for RbNpNiCl6. The PXRD pattern is theoretical, not measured: it uses a GGA-PBE-relaxed structure and Cu Kα, 1.54184 Å.
Intensities are scaled so that the largest is 100.

Structure:
Unit cell a=6.4520 b=6.6015 c=7.4830 alpha=91.71 beta=94.08 gamma=115.07
Space group P1 (No. 1)
One atom of each set of equivalent atoms:
Rb (0.0000, 0.0000, 0.0000)
Np (0.3851, 0.6525, 0.5079)
Ni (0.7527, 0.3478, 0.4672)
Cl (0.0365, 0.6251, 0.2847)
Cl (0.0515, 0.3191, 0.6555)
Cl (0.4104, 0.9285, 0.7735)
Cl (0.4445, 0.3640, 0.2795)
Cl (0.6660, 0.9941, 0.3290)
Cl (0.7100, 0.5772, 0.6946)

Largest 12 diffraction maxima, by angle, 10° ≤ 2θ ≤ 90°:
Position (°2θ)  I_rel
11.88  100
14.85  25
16.11  26
18.44  82
19.67  33
19.81  37
20.26  56
25.54  21
27.18  38
31.06  24

== Worked solution ==
Diffraction record for NiCl. The PXRD pattern is theoretical, not measured: it uses a GGA-PBE-relaxed structure and Cu Kα, 1.54184 Å.
Diffraction record for RbNpNiCl6. The PXRD pattern is theoretical, not measured: it uses a GGA-PBE-relaxed structure and Cu Kα, 1.54184 Å.